nLab double profunctor




A double profunctor is an appropriate notion of profunctor between double categories.

Thinking of a profunctor H:CDH : C ⇸ D as representing some notion of heteromorphism, double profunctors either represent a notion of vertical heteromorphism or horizontal heteromorphism. For clarity, this article focuses on the horizontal double profunctors. Vertical double profunctors can be defined by taking the transpose.

That is, HH defines for each cC,dDc\in C, d \in D a set H(d,c)H(d,c) of horizontal heteromorphisms from dd to cc, so that a heteromorphism hH(d,c)h \in H(d,c) can be composed with horizontal morphisms f:ddf : d' \to d in DD and g:ccg : c \to c' in CC to yield a heteromorphism (f;h;g)H(d,c)(f;h;g) \in H(d',c').

Furthermore, HH defines, for each heteromorphisms hH(d,c),hH(d,c)h \in H(d,c), h' \in H(d',c') and vertical arrows α:dd\alpha : d \to d' in DD and β:cc\beta : c \to c' in CC, a notion of hetero-2-cell:

d h c α ϕ β d h c \begin{matrix} d &\stackrel{h}{\to} & c \\ {}^{\mathllap{\alpha}}\downarrow &\Downarrow^{\mathrlap{\phi}}& \downarrow^{\mathrlap{\beta}} \\ d' &\underset{h'}{\to} & c' \end{matrix}

These can be composed vertically with hetero-2-cells along h,hh,h', and horizontally with 2-cells in D,CD, C of the appropriate shape along α,β\alpha, \beta.


A double profunctor can be defined in several equivalent ways. In each case, however, we must choose whether to regard the “vertical” or the “horizontal” direction as primary; applying transposes results in a different notion of double profunctor.

As internal profunctors in Cat

Since a (strict) double category is an internal category in Cat, it makes sense to define a double profunctor to be an internal profunctor in CatCat. Thus, if CC and DD are double categories, a double profunctor CDC ⇸ D consists of a span C 0HD 0C_0 \leftarrow H \to D_0 in CatCat, together with actions C 1× C 0HHC_1 \times_{C_0} H \to H and H× D 0D 1HH\times_{D_0} D_1 \to H which are associative and commute with each other.

As collages in DblCat

Another natural way to define a double profunctor is in terms of its collage. From this perspective, a double profunctor CDC ⇸ D consists of a double category HH, together with double functors CHC\to H and DHD\to H such that:

  1. The images of CC and DD in HH are disjoint.
  2. The induced functor CDHC\sqcup D\to H is bijective on objects and vertical arrows.
  3. Each functor CHC\to H and DHD\to H is fully faithful on horizontal arrows and squares.
  4. There are no horizontal arrows in HH from an object of CC to an object of DD, and therefore also no squares whose horizontal source is a vertical arrow in CC and whose horizontal target is a vertical arrow in DD.

In order to identify this with the previous definition as written, for a double category C=C 1C 0C = C_1 \;\rightrightarrows\; C_0 written as an internal category in CatCat, we have to write the arrows of C 0C_0 vertically and the objects of C 1C_1 horizontally.

Defined in this way, double profunctors can be seen to be precisely the two-sided codiscrete cofibrations in the 2-category DblCatDblCat of double categories, double functors, and horizontal transformations.

As Span-valued double functors

A third natural way to define double profunctors is as functors defined on D op×CD^{op}\times C. In order to make this agree with the previous two definitions, we have to consider lax double functors from D op×CD^{op}\times C to SpanSpan, where D opD^{op} denotes horizontal reversal, and SpanSpan denotes the (pseudo) double category whose objects are sets, whose horizontal arrows are functions, and whose vertical arrows are spans.

Explicit definition

Each of these definitions can be unraveled to give a more explicit definition, and thereby shown to be the same. Explicitly, a double profunctor H:CDH\colon C ⇸ D consists of the following.

  • An ordinary profunctor H 0:C 0D 0H^0\colon C^0 ⇸ D^0, where now C 0C^0 denotes the horizontal category of CC.

  • An ordinary profunctor H 1:C 1D 1H^1 \colon C^1 ⇸ D^1.

  • Each rH 1(q,p)r \in H^1(q,p) is assigned a vertical source s(r)H 0(s(q),s(p))s(r) \in H^0(s(q),s(p)) and target t(r)H 0(t(q),t(p))t(r) \in H^0(t(q),t(p)).

  • Each hH 0(d,c)h \in H^0(d,c) is assigned an identity 1 hH 1(1 d,1 c)1_h \in H^1(1_d,1_c).

  • If r 1H 1(q 1,p 1)r_1 \in H^1(q_1,p_1) and r 2H 1(q 2,p 2)r_2 \in H^1(q_2,p_2) and t(r 1)=s(r 2)t(r_1) = s(r_2) (hence t(q 1)=s(q 2)t(q_1)=s(q_2) and t(p 1)=s(p 2)t(p_1)=s(p_2)), then there is a vertical composite r 2r 1H 1(q 2q 1,p 2p 1)r_2 \boxminus r_1 \in H^1(q_2 q_1,p_2 p_1) with s(r 2r 1)=s(r 1)s(r_2\boxminus r_1) = s(r_1) and t(r 2r 1)=t(r 2)t(r_2\boxminus r_1) = t(r_2).

  • The composition \boxminus is associative and unital (with 1 h1_h as identities), and interchanges with the action of the profunctor H 1H^1 and the vertical composition of squares in CC and DD.


  • As with any notion of profunctor, the appropriate hom should be a double profunctor. In fact, since there are 2 kinds of morphism, there are 2 different hom profunctors. Following the convention above, the horizontal hom is a profunctor CCC ⇸ C and is given by the canonical span C 0sC 1tC 0C_0 \stackrel{s}{\leftarrow} C_1 \stackrel{t}{\to} C_0 and the vertical hom is just the horizontal hom on the transpose.

  • If CC and DD are strict 2-categories regarded as vertically-discrete double categories, then a double profunctor CDC ⇸ D is the same as a CatCat-enriched profunctor, i.e. a strict 2-functor D op×CCatD^{op}\times C \to Cat. There is a corresponding statement in the pseudo case (see below).

  • On the other hand, if CC and DD are 2-categories regarded as horizontally-discrete double categories, then a double profunctor CDC ⇸ D is the same as a lax 2-functor D co×CSpanD^{co}\times C \to Span, or equivalently a normal lax 2-functor D co×CProfD^{co}\times C \to Prof.


The definition can be weakened to the case when the composition of CC and DD is weak in one direction or the other, or both (modulo a suitable definition of the latter situation, see double category for several possibilities).

  • The internal definition can easily be weakened in the case when CC and DD are horizontally pseudo, since then they are simply pseudo internal categories in CatCat.

  • The collage definition, on the other hand, can easily be weakened to the case when CC and DD are vertically pseudo, by looking at codiscrete cofibrations in the 2-category of vertically-pseudo double categories, pseudo double functors, and horizontal transformations. The explicit description of the collages could also be given for horizontally or doubly pseudo double categories, although in those cases it would be harder to identify them with codiscrete cofibrations, since horizontal transformations would no longer be the 2-cells in a 2-category (only a tricategory of some sort).

  • The Span-valued double functor definition makes perfect sense as written if CC and DD are vertically pseudo, and also if they are horizontally or doubly pseudo, modulo a suitable definition of “vertically lax functor” in the latter two cases.

  • The explicit definition can also easily be weakened, with an insertion of coherence isomorphisms for CC and DD in appropriate places.

There is also a natural notion of profunctor between virtual double categories, namely the proarrows in the virtual equipment vDblProf=KMod(Span,fc)vDblProf = KMod(Span,fc) whose objects are virtual double categories (here fcfc is the free-category monad on Span=Span(Set)Span = Span(Set)). If CC and DD are (possibly vertically pseudo) double categories, regarded as vertically-virtual double categories, then any double profunctor CDC ⇸ D in the sense of the above definitions can also be considered as a “virtual-double profunctor” in a straightforward way. However, not every virtual-double profunctor between double categories is a double profunctor; those that are are those satisfying a “representability” property.


Composition of double profunctors is, unfortunately, hard to define and not well-behaved. Several of the above definitions suggest a possible way to compose them. However, not all of these ideas are well-defined, and those that are well-defined are not associative. In particular, there is not a double category of double categories, double functors, and double profunctors (although there are various weaker structures, such as a virtual double category and a lax double category?).

Using internal profunctors

Internal profunctors can be composed, using a coequalizer, in any category which has coequalizers preserved by pullback. However, while CatCat has coequalizers, they are not preserved by pullback, so this does not work – it is not even possible to define actions making the putative “composite” into a double profunctor. (This failure has nothing to do with strictness or weakness; 2-colimits in CatCat are also not preserved by 2-pullbacks.)

This definition does, however, suggest a replacement for the nonexistent double category of double profunctors. Namely, internal categories, functors, and profunctors in any category with pullbacks always form a virtual double category, and in fact a virtual equipment. Thus, in particular, there is a virtual equipment DblProfDblProf of double categories, double functors, and double profunctors. In terms of the explicit definition, a cell in DblProfDblProf with some given boundary consists of:

  • An ordinary cell in ProfProf, whose boundary is obtained by applying () 0(-)^0, and

  • Another ordinary cell in ProfProf, whose boundary is obtained by applying () 1(-)^1, such that

  • Vertical sources, targets, identities, and composites are respected.

For many purposes, having a virtual equipment of double profunctors is sufficient. For instance, this is all we need in order to talk about weighted limits, and in order to define generalized multicategories. We can also use this as a setting in which to ask whether some particular pair (or string) of double profunctors might have a composite, or a “weak composite,” as described at tensor product.

The virtual equipment DblProfDblProf is also contained as a non-full sub-virtual-equipment of the virtual equipment vDblProfvDblProf of virtual double categories, functors, and virtual-double profunctors mentioned above.

Using collages

The standard way to compose codiscrete cofibrations CHDC\to H \leftarrow D and DKED\to K\leftarrow E is to take the pushout (or 2-pushout) H DKH\sqcup_D K and then factor CEH DKC\sqcup E \to H\sqcup_D K as CEHKH DKC\sqcup E \to H\circ K \to H\sqcup_D K in some way such as to make CEHKC\sqcup E \to H\circ K codiscrete. We can do this for codiscrete cofibrations in DblCatDblCat and thereby obtain composites of double profunctors. However, the resulting composition operation is not associative, since pushouts in DblCatDblCat do not preserve the requisite factorizations.

I believe that the binary composite of double profunctors defined in this way is a “weak composite” in the virtual double category DblProfDblProf, i.e. it has a universal property relative to cells with source of length 2 only. We can likewise define basic nn-ary composites of codiscrete cofibrations by taking an nn-ary pushout and then a factorization, but for n>2n\gt 2, as far as I can tell, there is little relation between these composites and DblProfDblProf. In particular, these composites form a “lax double category”, whereas a virtual double category with all weak composites can be identified with an “oplax double category.” I also don’t know whether the cells in DblProfDblProf with source of length >2\gt 2 can be seen from the perspective of collages.

Failure of associativity

Here is a concrete example of the failure of associativity, for any reasonable notion of “composite” for double profunctors.

**Records of crystals that have nothing to do with the piece:**
- - -
The following is a theoretical powder XRD pattern of HoScI2O2. It was derived from a crystal structure in OQMD, relaxed with GGA-PBE, using CuKα.

Cell and atoms:
```
HoScI2O2
1.0
9.8151 -1.9805 0.0000
9.8151 1.9805 0.0000
-0.7394 0.0000 7.4121
Ho Sc I O
2 2 4 4
Cartesian
3.7308 0.0000 0.8098 Ho
15.1600 0.0000 6.6023 Ho
3.5221 0.0000 4.5207 Sc
15.3687 0.0000 2.8915 Sc
1.3189 0.0000 2.6402 I
7.7473 0.0000 1.1417 I
11.1435 0.0000 6.2704 I
17.5719 0.0000 4.7719 I
4.3447 0.0000 6.4124 O
4.7651 0.0000 2.8661 O
14.1257 0.0000 4.5460 O
14.5462 0.0000 0.9997 O
```

Top 10 peaks for 10° ≤ 2θ ≤ 90°, in order of falling intensity:
2θ/deg, d_spacing, Rel. int.
26.12, 3.411, 100
31.73, 2.820, 81
28.78, 3.102, 80
29.58, 3.020, 54
33.60, 2.667, 49
32.18, 2.781, 40
43.00, 2.103, 38
45.82, 1.981, 36
34.83, 2.576, 35
56.80, 1.621, 32


1.
Computed powder X-ray diffraction pattern
Compound: K2N2Cl5
Radiation: Cu Kα (λ = 1.5418 Å)
Structure: the PBE geometry in Alexandria
No peak broadening, texture or thermal motion is included.

Most intense lines, 5° ≤ 2θ ≤ 70°, most intense first:
29.15 deg, intensity 100; 33.27 deg, intensity 84; 37.01 deg, intensity 46; 25.88 deg, intensity 41; 25.17 deg, intensity 35; 24.94 deg, intensity 27; 51.66 deg, intensity 22; 20.20 deg, intensity 19; 34.74 deg, intensity 19; 35.15 deg, intensity 18

Structure:
Lattice parameters (Å, degrees): 10.330 4.943 4.943 79.34 90.00 90.00
Atoms (fractional coordinates):
1 K 0.000 0.000 0.000
2 K 0.500 0.048 0.048
3 N 0.135 0.357 0.357
4 N 0.865 0.357 0.357
5 Cl 0.209 0.039 0.487
6 Cl 0.209 0.487 0.039
7 Cl 0.500 0.640 0.640
8 Cl 0.791 0.039 0.487
9 Cl 0.791 0.487 0.039

2.
Computed powder X-ray diffraction pattern
Compound: KNCl2
Radiation: Cu Kα (λ = 1.5418 Å)
Structure: the PBE geometry in Alexandria
No peak broadening, texture or thermal motion is included.

Most intense lines, 5° ≤ 2θ ≤ 70°, most intense first:
27.96 deg, intensity 100; 34.92 deg, intensity 45; 26.72 deg, intensity 35; 28.39 deg, intensity 30; 37.84 deg, intensity 29; 40.54 deg, intensity 15; 33.41 deg, intensity 14; 45.60 deg, intensity 14; 24.74 deg, intensity 12; 21.83 deg, intensity 11

Structure:
Lattice parameters (Å, degrees): 10.082 5.139 8.901 90.00 90.00 90.00
Atoms (fractional coordinates):
1 K 0.144 0.250 0.108
2 K 0.356 0.750 0.608
3 K 0.644 0.250 0.392
4 K 0.856 0.750 0.892
5 N 0.044 0.750 0.283
6 N 0.456 0.250 0.783
7 N 0.544 0.750 0.217
8 N 0.956 0.250 0.717
9 Cl 0.081 0.250 0.607
10 Cl 0.171 0.750 0.901
11 Cl 0.329 0.250 0.401
12 Cl 0.419 0.750 0.107
13 Cl 0.581 0.250 0.893
14 Cl 0.671 0.750 0.599
15 Cl 0.829 0.250 0.099
16 Cl 0.919 0.750 0.393

3.
Computed powder X-ray diffraction pattern
Compound: K7N12Cl
Radiation: Cu Kα (λ = 1.5418 Å)
Structure: the PBE geometry in Alexandria
No peak broadening, texture or thermal motion is included.

Most intense lines, 5° ≤ 2θ ≤ 70°, most intense first:
- - -
**Back to the piece:**

  • Let AA be the free double category on two composable vertical arrows a 0α 0a 1α 1a 2a_0 \xrightarrow {\alpha_0} a_1 \xrightarrow{\alpha_1} a_2.

  • Let BB have four objects, vertical arrows β 0:b 0b 1\beta_0 : b_0\to b_1 and β 1:b 1b 2\beta_1 : b_1'\to b_2, and a horizontal arrow β:b 1b 1\beta' : b_1\to b_1' (plus identities).

  • Let C=AC=A, named instead c 0γ 0c 1γ 1c 2c_0 \xrightarrow{\gamma_0} c_1 \xrightarrow{\gamma_1} c_2.

  • Let DD be the free double category on one vertical arrow, d 0δd 2d_0 \xrightarrow{\delta} d_2.

  • Let H:ABH:A\to B be the double profunctor with

    • Four heteromorphisms h 0:a 0b 0h_0 :a_0 \to b_0, h 1:a 1b 1h_1 : a_1 \to b_1, h 1:a 1b 1h_1' : a_1 \to b_1', and h 2:a 2b 2h_2 : a_2 \to b_2.
    • Composition action h 1;β=h 1h_1 ; \beta' = h_1'
    • Two hetero-2-cells
      a 0 h 0 b 0 α 0 θ 0 β 0 a 1 h 1 b 1anda 1 h 1 b 1 α 1 θ 1 β 1 a 2 h 2 b 2 \begin{matrix} a_0 &\stackrel{h_0}{\to} & b_0 \\ {}^{\mathllap{\alpha_0}}\downarrow &\Downarrow^{\mathrlap{\theta_0}}& \downarrow^{\mathrlap{\beta_0}} \\ a_1 &\underset{h_1}{\to} & b_1 \end{matrix} \qquad\text{and}\qquad \begin{matrix} a_1 &\stackrel{h_1'}{\to} & b_1' \\ {}^{\mathllap{\alpha_1}}\downarrow &\Downarrow^{\mathrlap{\theta_1}}& \downarrow^{\mathrlap{\beta_1}} \\ a_2 &\underset{h_2}{\to} & b_2 \end{matrix}

      (note that they are not vertically composable!)

  • Let K:BCK:B\to C be the double profunctor with

    • Four heteromorphisms k 0:b 0c 0k_0 :b_0 \to c_0, k 1:b 1c 1k_1 : b_1 \to c_1, k 1:b 1c 1k_1' : b_1' \to c_1, and k 2:b 2c 2k_2 : b_2 \to c_2.
    • Composition action β;k 1=k 1\beta' ; k_1' = k_1
    • Two hetero-2-cells
      b 0 k 0 c 0 β 0 κ 0 γ 0 b 1 k 1 c 1andb 1 k 1 c 1 β 1 κ 1 γ 1 b 2 k 2 c 2 \begin{matrix} b_0 &\stackrel{k_0}{\to} & c_0 \\ {}^{\mathllap{\beta_0}}\downarrow &\Downarrow^{\mathrlap{\kappa_0}}& \downarrow^{\mathrlap{\gamma_0}} \\ b_1 &\underset{k_1}{\to} & c_1 \end{matrix} \qquad\text{and}\qquad \begin{matrix} b_1' &\stackrel{k_1'}{\to} & c_1 \\ {}^{\mathllap{\beta_1}}\downarrow &\Downarrow^{\mathrlap{\kappa_1}}& \downarrow^{\mathrlap{\gamma_1}} \\ b_2 &\underset{k_2}{\to} & c_2 \end{matrix}

      (also not vertically composable!)

  • Let L:CDL:C\to D be the double profunctor with

    • Two heteromorphisms 0:c 0d 0\ell_0 : c_0 \to d_0 and 2:c 2d 2\ell_2 : c_2 \to d_2.
    • One hetero-2-cell
      c 0 0 d 0 γ 0;γ 1 λ δ c 2 2 d 2 \begin{matrix} c_0 &\stackrel{\ell_0}{\to} & d_0 \\ {}^{\mathllap{\gamma_0;\gamma_1}}\downarrow &\Downarrow^{\mathrlap{\lambda}}& \downarrow^{\mathrlap{\delta}} \\ c_2 &\underset{\ell_2}{\to} & d_2 \end{matrix}

Then in the composite (H;K):AC(H;K) : A\to C, the composite hetero-2-cell (θ 0,κ 0)(\theta_0, \kappa_0) has vertical codomain (h 1,k 1)(h_1,k_1), while the composite hetero-2-cell (θ 1,κ 1)(\theta_1,\kappa_1) has vertical domain (h 1,k 1)(h_1',k_1'). But

(h 1,k 1)=(h 1,(β;h 1))=((h 1;β),h 1)=(h 1,k 1).(h_1,k_1) = (h_1, (\beta' ; h_1)) = ((h_1;\beta'),h_1) = (h_1',k_1').

Thus, (θ 0,κ 0)(\theta_0, \kappa_0) and (θ 1,κ 1)(\theta_1,\kappa_1) are vertically composable in (H;K)(H;K), producing a hetero-cell from α 0;α 1\alpha_0;\alpha_1 to γ 0;γ 1\gamma_0;\gamma_1. This can then be hetero-composed with λ\lambda to produce a hetero-2-cell in ((H;K);L)((H;K);L) from α 0;α 1\alpha_0;\alpha_1 to δ\delta.

However, there are no hetero-2-cells in KK that can be composed with λ\lambda in K;LK;L. Thus, in (H;(K;L))(H;(K;L)) there is no hetero-2-cell from α 0;α 1\alpha_0;\alpha_1 to δ\delta. Therefore

((H;K);L)(H;(K;L)). ((H;K);L) \neq (H;(K;L)).


  • Pécsi Bertalan, Hidak és profunktorok, Master’s dissertation (2012), pdf, English summary.

  • Robert Paré. Yoneda theory for double categories. Theory and Applications of Categories 25.17 (2011): 436-489.

Last revised on July 22, 2024 at 12:46:37. See the history of this page for a list of all contributions to it.